_Excerpt_
The following is a DFT calculation (wB97M-V/def2-TZVPD) of C24H54BF4N5O4 as an isolated structure.

Calculated values
- LUMO energy: -0.49 eV
- Orbital gap: 8.9958 eV
- Energy: -1945.53981 a.u.
- HOMO energy: -9.5 eV
- Energy above the lowest of the compared OMol25 structures with the same formula, charge and spin: 113.5 kcal/mol

XYZ file:
```
92
Properties=species:S:1:pos:R:3:forces:R:3:lowdin_charge:R:1
C 1.0649 -4.5312 0.0141 -1.05 -5.31 -0.32 -0.12
C 0.1731 -3.7461 -0.8442 -0.59 1.99 0.21 -0.27
C -1.2931 -4.1902 -0.8908 2.21 -4.49 1.38 -0.16
N -2.1513 -3.4199 -1.8400 -2.81 0.94 3.41 -0.25
C -1.6851 -3.2774 -3.2109 4.60 -4.70 1.36 0.02
C -2.4518 -2.1030 -1.1630 -0.53 2.56 -0.82 -0.08
C -3.9113 -1.6861 -1.6231 4.92 -2.25 -8.02 -0.11
C -4.6391 -2.9865 -1.9993 1.59 0.43 -4.24 -0.17
C -3.5893 -4.0358 -1.7058 -0.85 0.15 4.04 -0.09
H 2.1202 -4.3655 0.1106 0.10 1.09 0.42 0.09
H 1.0667 -5.6362 -0.2843 0.21 0.97 -0.54 0.10
H 0.4479 -4.7643 0.8565 0.60 0.69 1.89 0.05
H 0.5082 -3.7917 -1.8629 0.54 0.90 -0.45 0.10
H 0.2591 -2.8052 -0.2651 -0.33 0.61 -1.50 0.12
H -1.5960 -4.5862 0.2691 -0.30 2.20 -3.19 0.21
H -1.2263 -5.2183 -1.3569 -0.23 0.79 0.21 0.14
H -0.6573 -2.8573 -3.2364 -0.82 -0.19 0.28 0.10
H -2.2433 -2.7332 -3.8006 -3.39 3.05 -2.48 0.04
H -1.6015 -4.3191 -3.6720 -0.15 1.22 0.67 0.15
H -1.5987 -1.3478 -0.9969 -1.21 -0.96 -1.60 0.16
H -2.5834 -2.3296 -0.1723 -0.32 -1.11 2.57 0.09
H -3.8681 -0.9588 -2.6080 0.26 -1.95 2.09 0.16
H -4.4003 -1.1115 -1.0713 -3.73 4.63 5.78 0.00
H -4.8345 -2.9624 -3.1853 0.22 -0.12 2.56 0.16
H -5.5722 -3.2285 -1.5484 -0.54 0.06 0.61 0.10
H -3.6666 -4.9326 -2.2789 0.19 -0.76 -0.06 0.11
H -3.8364 -4.1872 -0.3979 1.50 -0.17 -4.12 0.23
B 0.0199 0.4265 0.5365 2.66 2.69 -1.49 -1.25
F -0.2625 1.1103 -0.7606 0.04 -1.08 1.00 0.02
F 1.0849 -0.4851 0.3300 -0.24 -0.37 -0.35 0.09
F 0.5561 1.4319 1.4019 -0.84 -0.81 -0.17 0.10
F -1.0747 -0.1890 0.9605 -1.65 -0.88 0.88 0.21
C 1.1437 -0.4333 -3.6908 -6.20 6.51 -7.29 0.04
C -0.3721 -0.2459 -3.8724 -0.07 1.44 -0.88 -0.16
N -1.4841 0.0484 -4.0771 2.12 -1.06 0.60 0.16
H 1.2814 -0.4386 -2.8107 2.04 -0.35 12.08 -0.04
H 1.4113 -1.2134 -4.1131 2.34 -7.73 -3.78 0.00
H 1.7783 0.3169 -4.0999 -0.25 1.19 -0.58 0.09
C 1.0768 -2.0938 2.9869 1.65 -1.93 2.41 -0.04
C 1.0444 -3.5104 3.6623 -1.13 -1.94 0.32 -0.22
N 1.0226 -4.6079 4.1203 0.16 4.22 -1.72 0.09
H 0.1815 -1.5290 2.7245 -0.05 -0.93 -0.36 0.06
H 1.5809 -1.5162 3.7574 -0.16 0.38 0.36 0.07
H 1.9145 -2.1875 2.3109 -0.45 0.18 -1.08 0.06
C -3.2720 2.2030 -2.0916 -6.17 4.64 1.93 -0.03
C -3.8430 1.8893 -0.7486 3.07 1.43 -4.13 -0.32
N -4.3447 1.5666 0.1950 -2.01 -1.34 3.84 0.16
H -4.0902 1.7664 -2.6413 0.70 -0.53 -1.43 0.07
H -3.4702 3.4025 -2.2574 0.64 -2.86 0.53 0.16
H -2.3029 2.0410 -2.2247 3.81 -1.40 -0.75 -0.02
C -1.5937 3.4495 1.3983 -0.83 1.66 -0.87 -0.05
C -2.5879 4.5310 0.9340 -1.46 2.36 -0.98 -0.24
N -3.3219 5.3804 0.5287 2.98 -3.53 1.66 0.09
H -0.5850 3.9208 1.7571 -1.98 -1.37 -1.11 0.11
H -2.0969 2.8687 2.1385 -0.14 0.19 1.39 0.04
H -1.6773 2.6719 0.6145 1.35 0.78 -0.15 0.05
C -1.7074 -0.7008 5.1663 -2.68 0.82 3.51 -0.11
C -0.9860 0.5314 4.9485 2.13 -1.24 -5.17 -0.29
O -1.6462 1.2590 3.8624 -1.67 1.20 4.99 -0.04
H -1.4219 -1.4604 4.5667 0.89 -2.51 -2.15 0.00
H -2.8266 -0.4569 4.9250 1.80 -0.81 1.28 0.13
H -1.3637 -0.9781 6.2364 -1.49 -0.15 -1.35 0.12
H 0.1214 0.2062 4.6157 -2.02 1.35 0.85 0.15
H -0.9924 1.0880 5.7738 0.29 2.58 3.10 0.06
H -1.1446 0.9849 3.1940 2.81 -1.22 -5.10 -0.04
C 5.8721 0.4877 0.7763 -2.43 -5.48 -0.96 -0.05
C 4.4137 0.5161 0.4227 0.42 4.10 0.59 -0.41
O 3.8177 -0.5123 0.9966 -2.22 -4.22 3.58 -0.08
H 5.8496 0.4302 1.8304 0.53 -0.20 1.24 0.07
H 6.4380 1.2300 0.4439 2.35 3.21 -1.57 0.02
H 6.1549 -0.5359 0.3063 0.43 1.62 1.10 0.12
H 4.1104 0.2726 -0.5549 0.57 1.75 -2.52 0.10
H 3.9898 1.4566 0.9253 0.29 -0.65 -1.50 0.12
H 2.8652 -0.3688 0.9287 -0.03 -0.29 0.02 0.05
C 2.5112 3.2177 -3.4236 1.63 -0.96 -1.04 -0.08
C 1.7777 3.0790 -2.1542 -1.30 -3.92 -2.49 -0.36
O 0.4331 3.1808 -2.3657 -0.17 6.31 -2.11 -0.01

_Brief_
The reader should give back the lines earlier on from the one with "0.97 -0.54" to the one with "-4.8345 -2.9624" unchanged.

_Written answer_
H 1.0667 -5.6362 -0.2843 0.21 0.97 -0.54 0.10
H 0.4479 -4.7643 0.8565 0.60 0.69 1.89 0.05
H 0.5082 -3.7917 -1.8629 0.54 0.90 -0.45 0.10
H 0.2591 -2.8052 -0.2651 -0.33 0.61 -1.50 0.12
H -1.5960 -4.5862 0.2691 -0.30 2.20 -3.19 0.21
H -1.2263 -5.2183 -1.3569 -0.23 0.79 0.21 0.14
H -0.6573 -2.8573 -3.2364 -0.82 -0.19 0.28 0.10
H -2.2433 -2.7332 -3.8006 -3.39 3.05 -2.48 0.04
H -1.6015 -4.3191 -3.6720 -0.15 1.22 0.67 0.15
H -1.5987 -1.3478 -0.9969 -1.21 -0.96 -1.60 0.16
H -2.5834 -2.3296 -0.1723 -0.32 -1.11 2.57 0.09
H -3.8681 -0.9588 -2.6080 0.26 -1.95 2.09 0.16
H -4.4003 -1.1115 -1.0713 -3.73 4.63 5.78 0.00
H -4.8345 -2.9624 -3.1853 0.22 -0.12 2.56 0.16